[Contents]
********
Entry 1:
Diffraction record for SrH16O10. The XRD peak list is simulated, not measured: it uses a PBE-relaxed structure and λ = 1.5418 Å (Cu Kα).
Neutral-atom scattering factors, no anomalous dispersion.

Main lines, low angle first (10 to 90 degrees two-theta):
- 2θ = 13.42°, I 100
- 2θ = 15.89°, I 73
- 2θ = 17.51°, I 53
- 2θ = 19.28°, I 31
- 2θ = 20.88°, I 52
- 2θ = 25.98°, I 59
- 2θ = 27.79°, I 28
- 2θ = 29.37°, I 60
- 2θ = 38.37°, I 41
- 2θ = 39.13°, I 33
- 2θ = 41.28°, I 51
- 2θ = 45.39°, I 30

Structural model:
```
SrH16O10
1.0
5.1968 -4.3489 0.0000
5.1968 4.3489 0.0000
-2.5729 0.0000 11.1514
Sr H O
2 32 20
Cartesian
3.9104 4.2910 5.5757
5.1968 -4.2910 0.0000
2.1534 2.4117 3.8228
0.9658 1.2171 3.9705
2.5798 1.4884 0.9607
2.2020 1.9514 6.0825
2.1151 0.8314 2.3032
2.8623 2.4602 8.4632
5.4591 2.4965 3.1746
2.9414 1.5853 9.7737
-0.3206 -1.2171 9.5462
3.5142 1.2556 6.5874
0.8286 -0.8314 7.8788
3.1530 0.3657 4.5634
4.9018 1.5834 4.3108
5.7743 1.3668 1.0868
6.9132 2.4024 1.6015
1.2933 -1.4884 6.5364
1.8665 -0.3657 10.1391
0.8670 -2.4117 9.3985
3.4884 -1.9514 0.5069
4.8006 -1.2556 1.0117
5.9809 0.5016 6.3628
4.2278 -1.5853 4.1980
5.4132 0.2840 9.3216
4.4878 -1.3668 6.6625
6.7737 0.7234 7.6839
4.1488 -2.4602 2.8876
3.6153 -1.5834 9.8864
6.6996 -0.2840 3.7459
7.2673 -0.5016 0.7871
4.1727 -2.4965 8.7503
8.0601 -0.7234 2.1082
5.6268 -2.4024 7.1772
1.9501 1.2326 3.9438
2.1356 0.6832 1.3079
2.9360 2.1208 6.7083
3.0293 2.5279 9.4381
5.2562 2.4951 4.1446
0.8492 -0.6832 6.8836
5.9545 2.3430 1.4350
0.6636 -1.2326 9.5195
4.1082 0.0170 4.7070
2.8217 -0.0170 10.2827
4.3287 0.0470 6.1733
5.6152 -0.0470 0.5976
4.2225 -2.1208 1.1326
6.9023 0.7499 6.6822
6.2782 0.7281 9.2979
4.3157 -2.5279 3.8624
4.6680 -2.3430 7.0106
3.9697 -2.4951 9.7203
7.5647 -0.7281 3.7222
8.1888 -0.7499 1.1065
```

Entry 2:
Diffraction record for SrH16O10. The XRD peak list is simulated, not measured: it uses a PBE-relaxed structure and λ = 1.5418 Å (Cu Kα).
Neutral-atom scattering factors, no anomalous dispersion.

Main lines, low angle first (10 to 90 degrees two-theta):
- 2θ = 13.25°, I 71
- 2θ = 13.54°, I 66
- 2θ = 18.48°, I 97
- 2θ = 19.48°, I 100
- 2θ = 19.70°, I 64
- 2θ = 19.97°, I 63
- 2θ = 20.32°, I 69
- 2θ = 20.44°, I 67
- 2θ = 34.01°, I 47
- 2θ = 34.53°, I 37
- 2θ = 37.47°, I 53
- 2θ = 39.56°, I 52

Structural model:
```
SrH16O10
1.0
5.9387 0.0000 0.0000
0.1626 6.5488 0.0000
0.2166 0.3486 6.6808
Sr H O
1 16 10
Cartesian
0.0000 0.0000 0.0000
1.7506 4.6306 4.5136
1.7972 4.6434 2.3641
1.7362 0.6507 2.0952
1.9440 2.6139 6.1931
2.0136 2.5407 4.5826
1.9631 2.2526 2.3062
2.7288 5.4527 5.3462
2.7134 5.3788 1.3872
3.6045 1.5186 5.2936
3.5891 1.4447 1.3346
4.3548 4.6448 4.3746
4.3043 4.3567 2.0982
4.3739 4.2835 0.4877
4.5817 6.2467 4.5856
4.5206 2.2540 4.3167
4.5673 2.2668 2.1671
1.7516 5.2908 5.2596
1.7732 5.4163 1.7153
1.8619 1.9831 5.4552
1.7794 1.5127 1.6144
2.3812 3.3731 3.3448
3.9367 3.5243 3.3360
4.5385 5.3847 5.0664
4.4560 4.9143 1.2256
4.5447 1.4811 4.9655
4.5662 1.6066 1.4212
```

Entry 3:
Diffraction record for SrH16O10. The XRD peak list is simulated, not measured: it uses a PBE-relaxed structure and λ = 1.5418 Å (Cu Kα).
Neutral-atom scattering factors, no anomalous dispersion.

Main lines, low angle first (10 to 90 degrees two-theta):
- 2θ = 13.65°, I 100
- 2θ = 15.61°, I 85
- 2θ = 18.36°, I 47
- 2θ = 20.11°, I 32
- 2θ = 22.99°, I 47
- 2θ = 25.32°, I 32
- 2θ = 25.70°, I 68
- 2θ = 30.85°, I 56
- 2θ = 37.77°, I 30
- 2θ = 40.87°, I 31
- 2θ = 42.76°, I 27
- 2θ = 45.51°, I 32

Structural model:
```
SrH16O10
1.0
4.8540 -4.3761 0.0000
4.8540 4.3761 0.0000
-1.0958 0.0000 11.3570
Sr H O
2 32 20
Cartesian
4.3061 4.2743 5.6785
4.8540 -4.2743 0.0000
2.5321 2.4228 6.7400
2.5006 1.4660 1.0705
2.0759 0.8147 2.4340
3.3673 2.4283 8.8653
3.5261 1.5189 10.1602
5.3632 3.0345 9.7314
3.7654 1.3236 6.8775
5.4914 2.4146 3.3192
3.2114 0.4417 4.8582
1.5279 -0.8147 8.1125
6.4740 2.6713 1.4834
5.0094 1.4949 4.4905
5.3861 1.4659 1.1861
2.6635 -0.4417 10.5367
1.9526 -1.4660 6.7490
********

[Wanted]
Your job: print the contents further above from the first line to the one with "9.2979" exactly.

[Solution]
Entry 1:
Diffraction record for SrH16O10. The XRD peak list is simulated, not measured: it uses a PBE-relaxed structure and λ = 1.5418 Å (Cu Kα).
Neutral-atom scattering factors, no anomalous dispersion.

Main lines, low angle first (10 to 90 degrees two-theta):
- 2θ = 13.42°, I 100
- 2θ = 15.89°, I 73
- 2θ = 17.51°, I 53
- 2θ = 19.28°, I 31
- 2θ = 20.88°, I 52
- 2θ = 25.98°, I 59
- 2θ = 27.79°, I 28
- 2θ = 29.37°, I 60
- 2θ = 38.37°, I 41
- 2θ = 39.13°, I 33
- 2θ = 41.28°, I 51
- 2θ = 45.39°, I 30

Structural model:
```
SrH16O10
1.0
5.1968 -4.3489 0.0000
5.1968 4.3489 0.0000
-2.5729 0.0000 11.1514
Sr H O
2 32 20
Cartesian
3.9104 4.2910 5.5757
5.1968 -4.2910 0.0000
2.1534 2.4117 3.8228
0.9658 1.2171 3.9705
2.5798 1.4884 0.9607
2.2020 1.9514 6.0825
2.1151 0.8314 2.3032
2.8623 2.4602 8.4632
5.4591 2.4965 3.1746
2.9414 1.5853 9.7737
-0.3206 -1.2171 9.5462
3.5142 1.2556 6.5874
0.8286 -0.8314 7.8788
3.1530 0.3657 4.5634
4.9018 1.5834 4.3108
5.7743 1.3668 1.0868
6.9132 2.4024 1.6015
1.2933 -1.4884 6.5364
1.8665 -0.3657 10.1391
0.8670 -2.4117 9.3985
3.4884 -1.9514 0.5069
4.8006 -1.2556 1.0117
5.9809 0.5016 6.3628
4.2278 -1.5853 4.1980
5.4132 0.2840 9.3216
4.4878 -1.3668 6.6625
6.7737 0.7234 7.6839
4.1488 -2.4602 2.8876
3.6153 -1.5834 9.8864
6.6996 -0.2840 3.7459
7.2673 -0.5016 0.7871
4.1727 -2.4965 8.7503
8.0601 -0.7234 2.1082
5.6268 -2.4024 7.1772
1.9501 1.2326 3.9438
2.1356 0.6832 1.3079
2.9360 2.1208 6.7083
3.0293 2.5279 9.4381
5.2562 2.4951 4.1446
0.8492 -0.6832 6.8836
5.9545 2.3430 1.4350
0.6636 -1.2326 9.5195
4.1082 0.0170 4.7070
2.8217 -0.0170 10.2827
4.3287 0.0470 6.1733
5.6152 -0.0470 0.5976
4.2225 -2.1208 1.1326
6.9023 0.7499 6.6822
6.2782 0.7281 9.2979